Given:
-- begin --
Record 1
This entry pairs a crystal structure of Ac2ThAs2S2 with its simulated powder diffraction line list. Radiation: Cu Kα (weighted mean of Kα1 and Kα2). Structure: the GGA-PBE geometry in Alexandria.
Peak positions follow from Bragg's law for the DFT cell and can differ from measured ones.

Structure:
abc: 5.636 5.636 14.903
angles: 90.00 90.00 90.00
Sites, in units of the cell vectors:
Ac (0.000, 0.000, 0.127)
Ac (0.000, 0.000, 0.873)
Ac (0.500, 0.500, 0.373)
Ac (0.500, 0.500, 0.627)
Th (0.000, 0.000, 0.500)
Th (0.500, 0.500, 0.000)
As (0.000, 0.500, 0.000)
As (0.000, 0.500, 0.500)
As (0.500, 0.000, 0.000)
As (0.500, 0.000, 0.500)
S (0.000, 0.000, 0.313)
S (0.000, 0.000, 0.687)
S (0.500, 0.500, 0.187)
S (0.500, 0.500, 0.813)

Top 10 peaks for 10 to 90 degrees two-theta, most intense first:
two_theta, d/Å, I (rel.)
23.88, 3.727, 100.0
22.31, 3.985, 84.9
31.76, 2.818, 83.8
34.02, 2.635, 77.4
47.23, 1.925, 55.0
40.12, 2.248, 54.7
11.88, 7.452, 53.2
45.53, 1.992, 32.6
59.48, 1.554, 28.8
32.91, 2.722, 27.2

Record 2
This entry pairs a crystal structure of AcZnAsS with its simulated powder diffraction line list. Radiation: Cu Kα (weighted mean of Kα1 and Kα2). Structure: the GGA-PBE geometry in Alexandria.
Peak positions follow from Bragg's law for the DFT cell and can differ from measured ones.

Structure:
abc: 11.918 11.918 11.918
angles: 22.22 22.22 22.22
Sites, in units of the cell vectors:
Ac (0.107, 0.107, 0.107)
Ac (0.893, 0.893, 0.893)
Zn (0.306, 0.306, 0.306)
Zn (0.694, 0.694, 0.694)
As (0.379, 0.379, 0.379)
As (0.621, 0.621, 0.621)
S (0.197, 0.197, 0.197)
S (0.803, 0.803, 0.803)

Top 10 peaks for 10 to 90 degrees two-theta, most intense first:
two_theta, d/Å, I (rel.)
24.60, 3.619, 100.0
39.23, 2.297, 73.5
34.20, 2.622, 66.9
25.79, 3.455, 48.0
42.85, 2.111, 24.8
62.72, 1.481, 20.0
46.86, 1.939, 20.0
22.50, 3.952, 19.3
53.01, 1.728, 19.1
67.89, 1.381, 18.1

Record 3
This entry pairs a crystal structure of Ac2SbAs4 with its simulated powder diffraction line list. Radiation: Cu Kα (weighted mean of Kα1 and Kα2). Structure: the GGA-PBE geometry in Alexandria.
Peak positions follow from Bragg's law for the DFT cell and can differ from measured ones.

Structure:
abc: 4.189 4.189 11.621
angles: 90.00 90.00 90.00
Sites, in units of the cell vectors:
Ac (0.000, 0.500, 0.214)
Ac (0.500, 0.000, 0.786)
Sb (0.000, 0.000, 0.500)
As (0.000, 0.000, 0.000)
As (0.000, 0.500, 0.673)
As (0.500, 0.000, 0.327)
As (0.500, 0.500, 0.000)

Top 10 peaks for 10 to 90 degrees two-theta, most intense first:
two_theta, d/Å, I (rel.)
33.97, 2.639, 100.0
22.56, 3.941, 47.3
26.23, 3.398, 40.1
43.19, 2.094, 34.0
37.68, 2.387, 34.0
31.46, 2.844, 25.0
73.30, 1.291, 23.3
58.64, 1.574, 19.0
30.78, 2.905, 13.5
51.24, 1.783, 12.9

Record 4
This entry pairs a crystal structure of Ac7SbAs5 with its simulated powder diffraction line list. Radiation: Cu Kα (weighted mean of Kα1 and Kα2). Structure: the GGA-PBE geometry in Alexandria.
Peak positions follow from Bragg's law for the DFT cell and can differ from measured ones.

Structure:
abc: 7.820 7.820 26.879
angles: 90.00 90.00 146.12
Sites, in units of the cell vectors:
Ac (0.036, 0.964, 0.750)
Ac (0.137, 0.863, 0.035)
Ac (0.137, 0.863, 0.465)
Ac (0.321, 0.679, 0.674)
Ac (0.321, 0.679, 0.826)
Ac (0.411, 0.589, 0.105)
Ac (0.411, 0.589, 0.395)
Ac (0.589, 0.411, 0.605)
Ac (0.589, 0.411, 0.895)
Ac (0.679, 0.321, 0.174)
Ac (0.679, 0.321, 0.326)
Ac (0.863, 0.137, 0.535)
Ac (0.863, 0.137, 0.965)
Ac (0.964, 0.036, 0.250)
Sb (0.298, 0.702, 0.250)
Sb (0.702, 0.298, 0.750)
As (0.045, 0.955, 0.144)
As (0.045, 0.955, 0.356)
As (0.227, 0.773, 0.573)
As (0.227, 0.773, 0.927)
As (0.500, 0.500, 0.000)
As (0.500, 0.500, 0.500)
As (0.773, 0.227, 0.073)
As (0.773, 0.227, 0.427)
As (0.955, 0.045, 0.644)
As (0.955, 0.045, 0.856)

Top 10 peaks for 10 to 90 degrees two-theta, most intense first:
two_theta, d/Å, I (rel.)
26.09, 3.416, 100.0
27.33, 3.263, 97.7
28.34, 3.149, 79.2
39.56, 2.278, 39.8
48.00, 1.895, 39.6
39.75, 2.268, 37.7
-- stop --
Request:
Start at the top of the data above and echo each line, ending with the one that has "32.6".
Completed:
Record 1
This entry pairs a crystal structure of Ac2ThAs2S2 with its simulated powder diffraction line list. Radiation: Cu Kα (weighted mean of Kα1 and Kα2). Structure: the GGA-PBE geometry in Alexandria.
Peak positions follow from Bragg's law for the DFT cell and can differ from measured ones.

Structure:
abc: 5.636 5.636 14.903
angles: 90.00 90.00 90.00
Sites, in units of the cell vectors:
Ac (0.000, 0.000, 0.127)
Ac (0.000, 0.000, 0.873)
Ac (0.500, 0.500, 0.373)
Ac (0.500, 0.500, 0.627)
Th (0.000, 0.000, 0.500)
Th (0.500, 0.500, 0.000)
As (0.000, 0.500, 0.000)
As (0.000, 0.500, 0.500)
As (0.500, 0.000, 0.000)
As (0.500, 0.000, 0.500)
S (0.000, 0.000, 0.313)
S (0.000, 0.000, 0.687)
S (0.500, 0.500, 0.187)
S (0.500, 0.500, 0.813)

Top 10 peaks for 10 to 90 degrees two-theta, most intense first:
two_theta, d/Å, I (rel.)
23.88, 3.727, 100.0
22.31, 3.985, 84.9
31.76, 2.818, 83.8
34.02, 2.635, 77.4
47.23, 1.925, 55.0
40.12, 2.248, 54.7
11.88, 7.452, 53.2
45.53, 1.992, 32.6